**Entries**
/*
Entry 1:
! Li2MnSnO4 (GGA+U, optimized geometry); values from VASP
! E (MP2020), eV/cell: -215.2
! Size of the total moment, μB per formula unit: 0.000
! VASP energy, eV per atom: -6.172
! Distance to the lowest polymorph of the same formula, meV per atom: 13
! ΔH_f (0 K), meV/atom: -2127
&SYSTEM
  ibrav = 0, nat = 32, ntyp = 4
/
ATOMIC_SPECIES
Li 6.94 Li.upf
Mn 54.94 Mn.upf
Sn 118.71 Sn.upf
O 16.00 O.upf
ATOMIC_POSITIONS crystal
Li 0.2500 0.5000 0.7500
Li 0.7500 0.5000 0.2500
Li 0.5000 0.0000 0.5000
Li 0.0000 0.0000 0.0000
Li 0.3750 0.7500 0.1250
Li 0.8750 0.7500 0.6250
Li 0.6250 0.2500 0.8750
Li 0.1250 0.2500 0.3750
Mn 0.0000 0.0000 0.5000
Mn 0.2500 0.5000 0.2500
Mn 0.5000 0.0000 0.0000
Mn 0.7500 0.5000 0.7500
Sn 0.8750 0.7500 0.1250
Sn 0.3750 0.7500 0.6250
Sn 0.1250 0.2500 0.8750
Sn 0.6250 0.2500 0.3750
O 0.7993 0.1315 0.2008
O 0.2992 0.1315 0.7007
O 0.0493 0.6315 0.9508
O 0.5492 0.6315 0.4507
O 0.2007 0.8685 0.7992
O 0.7008 0.8685 0.2993
O 0.4507 0.3685 0.5492
O 0.9508 0.3685 0.0493
O 0.6872 0.8665 0.8128
O 0.1872 0.8665 0.3128
O 0.9372 0.3665 0.5628
O 0.4372 0.3665 0.0628
O 0.3128 0.1335 0.1872
O 0.8128 0.1335 0.6872
O 0.5628 0.6335 0.9372
O 0.0628 0.6335 0.4372
CELL_PARAMETERS angstrom
5.3244 -1.7130 2.6384
1.7670 8.7790 5.3613
-5.3244 -1.5648 2.7289

Entry 2:
! KBaGdWO6 (GGA+U, optimized geometry); values from VASP
! Space group: Pnnn
! E (MP2020), eV/cell: -356.6
! Size of the total moment, μB per formula unit: 7.000
! VASP energy, eV per atom: -8.059
! ΔH_f (0 K), meV/atom: -2939
&SYSTEM
  ibrav = 0, nat = 40, ntyp = 5
/
ATOMIC_SPECIES
K 39.10 K.upf
Ba 137.33 Ba.upf
Gd 157.25 Gd.upf
W 183.84 W.upf
O 16.00 O.upf
ATOMIC_POSITIONS crystal
K 0.0000 0.5000 0.5000
K 0.5000 0.0000 0.5000
K 0.5000 0.0000 0.0000
K 0.0000 0.5000 0.0000
Ba 0.5000 0.5000 0.0000
Ba 0.0000 0.0000 0.5000
Ba 0.0000 0.0000 0.0000
Ba 0.5000 0.5000 0.5000
Gd 0.7500 0.7500 0.7500
Gd 0.2500 0.2500 0.7500
Gd 0.2500 0.7500 0.2500
Gd 0.7500 0.2500 0.2500
W 0.2500 0.2500 0.2500
W 0.7500 0.7500 0.2500
W 0.7500 0.2500 0.7500
W 0.2500 0.7500 0.7500
O 0.0193 0.2336 0.2598
O 0.9807 0.7664 0.2598
O 0.9807 0.2336 0.7402
O 0.0193 0.7664 0.7402
O 0.2542 0.0197 0.2392
O 0.2542 0.9803 0.7608
O 0.7458 0.9803 0.2392
O 0.7458 0.0197 0.7608
O 0.2396 0.2601 0.0199
O 0.7604 0.2601 0.9801
O 0.2396 0.7399 0.9801
O 0.7604 0.7399 0.0199
O 0.4807 0.2664 0.2402
O 0.5193 0.7336 0.2402
O 0.5193 0.2664 0.7598
O 0.4807 0.7336 0.7598
O 0.2458 0.4803 0.2608
O 0.2458 0.5197 0.7392
O 0.7542 0.5197 0.2608
O 0.7542 0.4803 0.7392
O 0.2604 0.2399 0.4801
O 0.7396 0.2399 0.5199
O 0.2604 0.7601 0.5199
O 0.7396 0.7601 0.4801
CELL_PARAMETERS angstrom
8.5031 0.0000 0.0000
0.0000 8.5099 0.0000
0.0000 0.0000 8.5162

Entry 3:
! Li9Mn2Co5O16 (GGA+U, optimized geometry); values from VASP
! Space group: Pm
! E (MP2020), eV/cell: -207.9
! Size of the total moment, μB per formula unit: 14.001
! VASP energy, eV per atom: -5.793
! Distance to the lowest polymorph of the same formula, meV per atom: 62
! ΔH_f (0 K), meV/atom: -1802
&SYSTEM
  ibrav = 0, nat = 32, ntyp = 4
/
ATOMIC_SPECIES
Li 6.94 Li.upf
Mn 54.94 Mn.upf
Co 58.93 Co.upf
O 16.00 O.upf
ATOMIC_POSITIONS crystal
Li 0.5000 0.7442 0.8814
Li 0.5000 0.2507 0.6220
Li 0.5000 0.7356 0.3643
Li 0.0000 0.5005 0.0057
Li 0.0000 0.0046 0.7456
Li 0.0000 0.4952 0.4934
Li 0.5000 0.2657 0.1322
Li 0.0000 0.0001 0.2553
Li 0.0000 0.5001 0.2510
Mn 0.0000 0.9964 0.0014
Mn 0.5000 0.7519 0.6254
Co 0.0000 0.4987 0.7517
Co 0.0000 0.0083 0.4930
Co 0.5000 0.7260 0.1318
Co 0.5000 0.2528 0.8739
Co 0.5000 0.2743 0.3692
O 0.5000 0.0002 0.8889
O 0.5000 0.5200 0.6360
O 0.5000 0.9998 0.3861
O 0.0000 0.7689 0.0041
O 0.0000 0.2458 0.7589
O 0.0000 0.7496 0.5162
O 0.5000 0.5131 0.1203
O 0.0000 0.2452 0.2596
O 0.5000 0.4933 0.8673
O 0.5000 0.9840 0.6166
O 0.5000 0.4887 0.3779
O 0.0000 0.2331 0.9912
O 0.0000 0.7579 0.7357
O 0.0000 0.2428 0.4946
O 0.5000 0.9966 0.1085
O 0.0000 0.7558 0.2408
CELL_PARAMETERS angstrom
2.9126 0.0000 0.0000
0.0000 8.3825 0.0000
0.0000 0.0906 11.8475

Entry 4:
*/

**To do**
Now duplicate the whole of the rows further above without additions.

**Solution**
Entry 1:
! Li2MnSnO4 (GGA+U, optimized geometry); values from VASP
! E (MP2020), eV/cell: -215.2
! Size of the total moment, μB per formula unit: 0.000
! VASP energy, eV per atom: -6.172
! Distance to the lowest polymorph of the same formula, meV per atom: 13
! ΔH_f (0 K), meV/atom: -2127
&SYSTEM
  ibrav = 0, nat = 32, ntyp = 4
/
ATOMIC_SPECIES
Li 6.94 Li.upf
Mn 54.94 Mn.upf
Sn 118.71 Sn.upf
O 16.00 O.upf
ATOMIC_POSITIONS crystal
Li 0.2500 0.5000 0.7500
Li 0.7500 0.5000 0.2500
Li 0.5000 0.0000 0.5000
Li 0.0000 0.0000 0.0000
Li 0.3750 0.7500 0.1250
Li 0.8750 0.7500 0.6250
Li 0.6250 0.2500 0.8750
Li 0.1250 0.2500 0.3750
Mn 0.0000 0.0000 0.5000
Mn 0.2500 0.5000 0.2500
Mn 0.5000 0.0000 0.0000
Mn 0.7500 0.5000 0.7500
Sn 0.8750 0.7500 0.1250
Sn 0.3750 0.7500 0.6250
Sn 0.1250 0.2500 0.8750
Sn 0.6250 0.2500 0.3750
O 0.7993 0.1315 0.2008
O 0.2992 0.1315 0.7007
O 0.0493 0.6315 0.9508
O 0.5492 0.6315 0.4507
O 0.2007 0.8685 0.7992
O 0.7008 0.8685 0.2993
O 0.4507 0.3685 0.5492
O 0.9508 0.3685 0.0493
O 0.6872 0.8665 0.8128
O 0.1872 0.8665 0.3128
O 0.9372 0.3665 0.5628
O 0.4372 0.3665 0.0628
O 0.3128 0.1335 0.1872
O 0.8128 0.1335 0.6872
O 0.5628 0.6335 0.9372
O 0.0628 0.6335 0.4372
CELL_PARAMETERS angstrom
5.3244 -1.7130 2.6384
1.7670 8.7790 5.3613
-5.3244 -1.5648 2.7289

Entry 2:
! KBaGdWO6 (GGA+U, optimized geometry); values from VASP
! Space group: Pnnn
! E (MP2020), eV/cell: -356.6
! Size of the total moment, μB per formula unit: 7.000
! VASP energy, eV per atom: -8.059
! ΔH_f (0 K), meV/atom: -2939
&SYSTEM
  ibrav = 0, nat = 40, ntyp = 5
/
ATOMIC_SPECIES
K 39.10 K.upf
Ba 137.33 Ba.upf
Gd 157.25 Gd.upf
W 183.84 W.upf
O 16.00 O.upf
ATOMIC_POSITIONS crystal
K 0.0000 0.5000 0.5000
K 0.5000 0.0000 0.5000
K 0.5000 0.0000 0.0000
K 0.0000 0.5000 0.0000
Ba 0.5000 0.5000 0.0000
Ba 0.0000 0.0000 0.5000
Ba 0.0000 0.0000 0.0000
Ba 0.5000 0.5000 0.5000
Gd 0.7500 0.7500 0.7500
Gd 0.2500 0.2500 0.7500
Gd 0.2500 0.7500 0.2500
Gd 0.7500 0.2500 0.2500
W 0.2500 0.2500 0.2500
W 0.7500 0.7500 0.2500
W 0.7500 0.2500 0.7500
W 0.2500 0.7500 0.7500
O 0.0193 0.2336 0.2598
O 0.9807 0.7664 0.2598
O 0.9807 0.2336 0.7402
O 0.0193 0.7664 0.7402
O 0.2542 0.0197 0.2392
O 0.2542 0.9803 0.7608
O 0.7458 0.9803 0.2392
O 0.7458 0.0197 0.7608
O 0.2396 0.2601 0.0199
O 0.7604 0.2601 0.9801
O 0.2396 0.7399 0.9801
O 0.7604 0.7399 0.0199
O 0.4807 0.2664 0.2402
O 0.5193 0.7336 0.2402
O 0.5193 0.2664 0.7598
O 0.4807 0.7336 0.7598
O 0.2458 0.4803 0.2608
O 0.2458 0.5197 0.7392
O 0.7542 0.5197 0.2608
O 0.7542 0.4803 0.7392
O 0.2604 0.2399 0.4801
O 0.7396 0.2399 0.5199
O 0.2604 0.7601 0.5199
O 0.7396 0.7601 0.4801
CELL_PARAMETERS angstrom
8.5031 0.0000 0.0000
0.0000 8.5099 0.0000
0.0000 0.0000 8.5162

Entry 3:
! Li9Mn2Co5O16 (GGA+U, optimized geometry); values from VASP
! Space group: Pm
! E (MP2020), eV/cell: -207.9
! Size of the total moment, μB per formula unit: 14.001
! VASP energy, eV per atom: -5.793
! Distance to the lowest polymorph of the same formula, meV per atom: 62
! ΔH_f (0 K), meV/atom: -1802
&SYSTEM
  ibrav = 0, nat = 32, ntyp = 4
/
ATOMIC_SPECIES
Li 6.94 Li.upf
Mn 54.94 Mn.upf
Co 58.93 Co.upf
O 16.00 O.upf
ATOMIC_POSITIONS crystal
Li 0.5000 0.7442 0.8814
Li 0.5000 0.2507 0.6220
Li 0.5000 0.7356 0.3643
Li 0.0000 0.5005 0.0057
Li 0.0000 0.0046 0.7456
Li 0.0000 0.4952 0.4934
Li 0.5000 0.2657 0.1322
Li 0.0000 0.0001 0.2553
Li 0.0000 0.5001 0.2510
Mn 0.0000 0.9964 0.0014
Mn 0.5000 0.7519 0.6254
Co 0.0000 0.4987 0.7517
Co 0.0000 0.0083 0.4930
Co 0.5000 0.7260 0.1318
Co 0.5000 0.2528 0.8739
Co 0.5000 0.2743 0.3692
O 0.5000 0.0002 0.8889
O 0.5000 0.5200 0.6360
O 0.5000 0.9998 0.3861
O 0.0000 0.7689 0.0041
O 0.0000 0.2458 0.7589
O 0.0000 0.7496 0.5162
O 0.5000 0.5131 0.1203
O 0.0000 0.2452 0.2596
O 0.5000 0.4933 0.8673
O 0.5000 0.9840 0.6166
O 0.5000 0.4887 0.3779
O 0.0000 0.2331 0.9912
O 0.0000 0.7579 0.7357
O 0.0000 0.2428 0.4946
O 0.5000 0.9966 0.1085
O 0.0000 0.7558 0.2408
CELL_PARAMETERS angstrom
2.9126 0.0000 0.0000
0.0000 8.3825 0.0000
0.0000 0.0906 11.8475

Entry 4: